Contents:
'''
DFT (r²SCAN) results for a geometry-optimized CaPt2 structure.

size of the total moment = 0.0 μB per formula unit
ΔE_f = -1.026 eV per atom

extended XYZ file:
```
6
Lattice="4.6914 0.0000 2.7086 1.5638 4.4231 2.7086 0.0000 0.0000 5.4171" Properties=species:S:1:pos:R:3 pbc="T T T"
Ca 2.3457 1.6586 4.0628
Ca 3.9095 2.7644 6.7714
Pt 2.3457 0.0000 1.3543
Pt 0.0000 0.0000 0.0000
Pt 0.0000 0.0000 2.7086
Pt 0.7819 2.2115 1.3543
```


DFT (r²SCAN) results for a geometry-optimized LiMo6Cl13 structure.

size of the total moment = 0.0 μB per formula unit
ΔE_f = -1.173 eV per atom

extended XYZ file:
```
40
Lattice="-9.0256 -0.2750 -0.4617 3.1596 -5.9520 -6.0691 3.4811 -7.2738 11.2540" Properties=species:S:1:pos:R:3 pbc="T T T"
Mo -1.2224 -3.3273 4.5124
Mo -0.8205 -10.6978 6.8018
Mo -4.0572 -3.5227 -1.8641
Mo -2.9249 -5.2910 4.3656
Mo 1.6722 -9.9781 6.5874
Mo -1.1626 -10.1735 0.2109
Mo -0.5858 -8.7708 -1.9069
Mo 0.0501 -8.6218 8.1019
Mo 0.5400 -8.2097 0.3577
Mo -1.5645 -2.8030 -2.0786
Mo -1.7992 -4.7300 6.6301
Mo -2.4351 -4.8789 -3.3787
Cl -2.3064 -9.3849 8.3121
Cl -2.2052 -4.8742 -0.9179
Cl -2.6118 -11.0880 5.1877
Cl -1.8238 -7.3307 -3.5976
Cl 0.8288 -2.7749 3.3109
Cl -1.8948 -7.8552 -0.0335
Cl 2.9346 -8.7673 0.6683
Cl -3.1753 -1.5109 -0.6897
Cl -5.4646 -4.1497 0.0320
Cl -4.8345 -5.4815 -3.1809
Cl -0.0011 -9.6133 2.3370
Cl 3.0797 -9.3511 4.6912
Cl 1.0925 -6.9450 -1.7078
Cl -3.1027 -7.3599 3.0747
Cl -0.4902 -5.6456 4.7568
Cl -3.4775 -6.5558 6.4310
Cl 0.2269 -2.4128 -0.4645
Cl -0.5611 -6.1701 8.3209
Cl 0.7178 -6.1409 1.6486
Cl -0.0785 -4.1159 -3.5889
Cl -0.1798 -8.6266 5.6412
Cl -3.2137 -10.7259 1.4124
Cl 2.4496 -8.0193 7.9041
Cl -2.3838 -3.8874 2.3862
Cl 0.7903 -11.9899 5.4129
Cl -5.3195 -4.7334 4.0550
Li -3.6505 -9.6729 3.5475
Li 1.2656 -3.8279 1.1757
```
'''
What to do:
Print the entries earlier on without additions, please.
Here it is:
DFT (r²SCAN) results for a geometry-optimized CaPt2 structure.

size of the total moment = 0.0 μB per formula unit
ΔE_f = -1.026 eV per atom

extended XYZ file:
```
6
Lattice="4.6914 0.0000 2.7086 1.5638 4.4231 2.7086 0.0000 0.0000 5.4171" Properties=species:S:1:pos:R:3 pbc="T T T"
Ca 2.3457 1.6586 4.0628
Ca 3.9095 2.7644 6.7714
Pt 2.3457 0.0000 1.3543
Pt 0.0000 0.0000 0.0000
Pt 0.0000 0.0000 2.7086
Pt 0.7819 2.2115 1.3543
```


DFT (r²SCAN) results for a geometry-optimized LiMo6Cl13 structure.

size of the total moment = 0.0 μB per formula unit
ΔE_f = -1.173 eV per atom

extended XYZ file:
```
40
Lattice="-9.0256 -0.2750 -0.4617 3.1596 -5.9520 -6.0691 3.4811 -7.2738 11.2540" Properties=species:S:1:pos:R:3 pbc="T T T"
Mo -1.2224 -3.3273 4.5124
Mo -0.8205 -10.6978 6.8018
Mo -4.0572 -3.5227 -1.8641
Mo -2.9249 -5.2910 4.3656
Mo 1.6722 -9.9781 6.5874
Mo -1.1626 -10.1735 0.2109
Mo -0.5858 -8.7708 -1.9069
Mo 0.0501 -8.6218 8.1019
Mo 0.5400 -8.2097 0.3577
Mo -1.5645 -2.8030 -2.0786
Mo -1.7992 -4.7300 6.6301
Mo -2.4351 -4.8789 -3.3787
Cl -2.3064 -9.3849 8.3121
Cl -2.2052 -4.8742 -0.9179
Cl -2.6118 -11.0880 5.1877
Cl -1.8238 -7.3307 -3.5976
Cl 0.8288 -2.7749 3.3109
Cl -1.8948 -7.8552 -0.0335
Cl 2.9346 -8.7673 0.6683
Cl -3.1753 -1.5109 -0.6897
Cl -5.4646 -4.1497 0.0320
Cl -4.8345 -5.4815 -3.1809
Cl -0.0011 -9.6133 2.3370
Cl 3.0797 -9.3511 4.6912
Cl 1.0925 -6.9450 -1.7078
Cl -3.1027 -7.3599 3.0747
Cl -0.4902 -5.6456 4.7568
Cl -3.4775 -6.5558 6.4310
Cl 0.2269 -2.4128 -0.4645
Cl -0.5611 -6.1701 8.3209
Cl 0.7178 -6.1409 1.6486
Cl -0.0785 -4.1159 -3.5889
Cl -0.1798 -8.6266 5.6412
Cl -3.2137 -10.7259 1.4124
Cl 2.4496 -8.0193 7.9041
Cl -2.3838 -3.8874 2.3862
Cl 0.7903 -11.9899 5.4129
Cl -5.3195 -4.7334 4.0550
Li -3.6505 -9.6729 3.5475
Li 1.2656 -3.8279 1.1757
```